## Assignment
Now give back everything underneath without additions.

## Listing
The following is a DFT calculation (PBE-GGA) of KMg6Sb after structural relaxation.

formation energy from the elements = 0.0495 eV per atom
polymorph energy (0 for the lowest one) = 14 meV per atom
space group = No. 38

```
data_KMg6Sb
_symmetry_space_group_name_H-M 'P 1'
_symmetry_Int_Tables_number 1
_symmetry_space_group_name_Hall 'P 1'
_cell_length_a 6.8172
_cell_length_b 6.8172
_cell_length_c 5.2689
_cell_angle_alpha 90.00
_cell_angle_beta 90.00
_cell_angle_gamma 121.88
loop_
_atom_site_label
_atom_site_type_symbol
_atom_site_fract_x
_atom_site_fract_y
_atom_site_fract_z
_atom_site_occupancy
K1 K 0.8327 0.1673 0.5000 1
Mg1 Mg 0.3352 0.1686 0.5000 1
Mg2 Mg 0.8314 0.6648 0.5000 1
Mg3 Mg 0.1752 0.3356 0.0000 1
Mg4 Mg 0.6644 0.8248 0.0000 1
Mg5 Mg 0.6611 0.3389 0.0000 1
Mg6 Mg 0.1645 0.8355 0.0000 1
Sb1 Sb 0.3355 0.6645 0.5000 1
```

The following is a DFT calculation (PBE-GGA) of Ce2Si3Rh after structural relaxation.

formation energy from the elements = -0.8881 eV per atom
polymorph energy (0 for the lowest one) = 4 meV per atom
space group = No. 194

```
data_Ce2Si3Rh
_symmetry_space_group_name_H-M 'P 1'
_symmetry_Int_Tables_number 1
_symmetry_space_group_name_Hall 'P 1'
_cell_length_a 8.2238
_cell_length_b 8.2238
_cell_length_c 8.1840
_cell_angle_alpha 90.00
_cell_angle_beta 90.00
_cell_angle_gamma 120.00
loop_
_atom_site_label
_atom_site_type_symbol
_atom_site_fract_x
_atom_site_fract_y
_atom_site_fract_z
_atom_site_occupancy
Ce1 Ce 0.0000 0.0000 0.2500 1
Ce2 Ce 0.0000 0.0000 0.7500 1
Ce3 Ce 0.5044 0.4956 0.2500 1
Ce4 Ce 0.5044 0.0089 0.2500 1
Ce5 Ce 0.9911 0.4956 0.2500 1
Ce6 Ce 0.4956 0.5044 0.7500 1
Ce7 Ce 0.4956 0.9911 0.7500 1
Ce8 Ce 0.0089 0.5044 0.7500 1
Si1 Si 0.1655 0.8345 0.5008 1
Si2 Si 0.1655 0.3310 0.5008 1
Si3 Si 0.6690 0.8345 0.5008 1
Si4 Si 0.8345 0.1655 0.4992 1
Si5 Si 0.8345 0.6690 0.4992 1
Si6 Si 0.3310 0.1655 0.4992 1
Si7 Si 0.8345 0.1655 0.0008 1
Si8 Si 0.8345 0.6690 0.0008 1
Si9 Si 0.3310 0.1655 0.0008 1
Si10 Si 0.1655 0.8345 0.9992 1
Si11 Si 0.1655 0.3310 0.9992 1
Si12 Si 0.6690 0.8345 0.9992 1
Rh1 Rh 0.3333 0.6667 0.4748 1
Rh2 Rh 0.6667 0.3333 0.5252 1
Rh3 Rh 0.6667 0.3333 0.9748 1
Rh4 Rh 0.3333 0.6667 0.0252 1
```

The following is a DFT calculation (PBE-GGA) of Ce2Pd3Rh3 after structural relaxation.

formation energy from the elements = -0.7096 eV per atom
space group = No. 47

```
data_Ce2Pd3Rh3
_symmetry_space_group_name_H-M 'P 1'
_symmetry_Int_Tables_number 1
_symmetry_space_group_name_Hall 'P 1'
_cell_length_a 4.1174
_cell_length_b 4.2110
_cell_length_c 8.1002
_cell_angle_alpha 90.00
_cell_angle_beta 90.00
_cell_angle_gamma 90.00
loop_
_atom_site_label
_atom_site_type_symbol
_atom_site_fract_x
_atom_site_fract_y
_atom_site_fract_z
_atom_site_occupancy
Ce1 Ce 0.0000 0.0000 0.2447 1
Ce2 Ce 0.0000 0.0000 0.7553 1
Pd1 Pd 0.5000 0.5000 0.2503 1
Pd2 Pd 0.5000 0.5000 0.7497 1
Pd3 Pd 0.0000 0.5000 0.5000 1
Rh1 Rh 0.0000 0.5000 0.0000 1
Rh2 Rh 0.5000 0.0000 0.5000 1
Rh3 Rh 0.5000 0.0000 0.0000 1
```

The following is a DFT calculation (PBE-GGA) of K3Os after structural relaxation.

formation energy from the elements = 1.3476 eV per atom
space group = No. 139

```
data_K3Os
_symmetry_space_group_name_H-M 'P 1'
_symmetry_Int_Tables_number 1
_symmetry_space_group_name_Hall 'P 1'
_cell_length_a 5.8127
_cell_length_b 5.8127
_cell_length_c 5.8127
_cell_angle_alpha 118.25
_cell_angle_beta 118.25
_cell_angle_gamma 93.06
loop_
_atom_site_label
_atom_site_type_symbol
_atom_site_fract_x
_atom_site_fract_y
_atom_site_fract_z
_atom_site_occupancy
K1 K 0.7500 0.2500 0.5000 1
K2 K 0.2500 0.7500 0.5000 1
K3 K 0.5000 0.5000 0.0000 1
Os1 Os 0.0000 0.0000 0.0000 1
```

The following is a DFT calculation (PBE-GGA) of Zn2MoN3 after structural relaxation.

formation energy from the elements = -0.2742 eV per atom
polymorph energy (0 for the lowest one) = 38 meV per atom
space group = No. 36

```
data_Zn2MoN3
_symmetry_space_group_name_H-M 'P 1'
_symmetry_Int_Tables_number 1
_symmetry_space_group_name_Hall 'P 1'

## Solution
The following is a DFT calculation (PBE-GGA) of KMg6Sb after structural relaxation.

formation energy from the elements = 0.0495 eV per atom
polymorph energy (0 for the lowest one) = 14 meV per atom
space group = No. 38

```
data_KMg6Sb
_symmetry_space_group_name_H-M 'P 1'
_symmetry_Int_Tables_number 1
_symmetry_space_group_name_Hall 'P 1'
_cell_length_a 6.8172
_cell_length_b 6.8172
_cell_length_c 5.2689
_cell_angle_alpha 90.00
_cell_angle_beta 90.00
_cell_angle_gamma 121.88
loop_
_atom_site_label
_atom_site_type_symbol
_atom_site_fract_x
_atom_site_fract_y
_atom_site_fract_z
_atom_site_occupancy
K1 K 0.8327 0.1673 0.5000 1
Mg1 Mg 0.3352 0.1686 0.5000 1
Mg2 Mg 0.8314 0.6648 0.5000 1
Mg3 Mg 0.1752 0.3356 0.0000 1
Mg4 Mg 0.6644 0.8248 0.0000 1
Mg5 Mg 0.6611 0.3389 0.0000 1
Mg6 Mg 0.1645 0.8355 0.0000 1
Sb1 Sb 0.3355 0.6645 0.5000 1
```

The following is a DFT calculation (PBE-GGA) of Ce2Si3Rh after structural relaxation.

formation energy from the elements = -0.8881 eV per atom
polymorph energy (0 for the lowest one) = 4 meV per atom
space group = No. 194

```
data_Ce2Si3Rh
_symmetry_space_group_name_H-M 'P 1'
_symmetry_Int_Tables_number 1
_symmetry_space_group_name_Hall 'P 1'
_cell_length_a 8.2238
_cell_length_b 8.2238
_cell_length_c 8.1840
_cell_angle_alpha 90.00
_cell_angle_beta 90.00
_cell_angle_gamma 120.00
loop_
_atom_site_label
_atom_site_type_symbol
_atom_site_fract_x
_atom_site_fract_y
_atom_site_fract_z
_atom_site_occupancy
Ce1 Ce 0.0000 0.0000 0.2500 1
Ce2 Ce 0.0000 0.0000 0.7500 1
Ce3 Ce 0.5044 0.4956 0.2500 1
Ce4 Ce 0.5044 0.0089 0.2500 1
Ce5 Ce 0.9911 0.4956 0.2500 1
Ce6 Ce 0.4956 0.5044 0.7500 1
Ce7 Ce 0.4956 0.9911 0.7500 1
Ce8 Ce 0.0089 0.5044 0.7500 1
Si1 Si 0.1655 0.8345 0.5008 1
Si2 Si 0.1655 0.3310 0.5008 1
Si3 Si 0.6690 0.8345 0.5008 1
Si4 Si 0.8345 0.1655 0.4992 1
Si5 Si 0.8345 0.6690 0.4992 1
Si6 Si 0.3310 0.1655 0.4992 1
Si7 Si 0.8345 0.1655 0.0008 1
Si8 Si 0.8345 0.6690 0.0008 1
Si9 Si 0.3310 0.1655 0.0008 1
Si10 Si 0.1655 0.8345 0.9992 1
Si11 Si 0.1655 0.3310 0.9992 1
Si12 Si 0.6690 0.8345 0.9992 1
Rh1 Rh 0.3333 0.6667 0.4748 1
Rh2 Rh 0.6667 0.3333 0.5252 1
Rh3 Rh 0.6667 0.3333 0.9748 1
Rh4 Rh 0.3333 0.6667 0.0252 1
```

The following is a DFT calculation (PBE-GGA) of Ce2Pd3Rh3 after structural relaxation.

formation energy from the elements = -0.7096 eV per atom
space group = No. 47

```
data_Ce2Pd3Rh3
_symmetry_space_group_name_H-M 'P 1'
_symmetry_Int_Tables_number 1
_symmetry_space_group_name_Hall 'P 1'
_cell_length_a 4.1174
_cell_length_b 4.2110
_cell_length_c 8.1002
_cell_angle_alpha 90.00
_cell_angle_beta 90.00
_cell_angle_gamma 90.00
loop_
_atom_site_label
_atom_site_type_symbol
_atom_site_fract_x
_atom_site_fract_y
_atom_site_fract_z
_atom_site_occupancy
Ce1 Ce 0.0000 0.0000 0.2447 1
Ce2 Ce 0.0000 0.0000 0.7553 1
Pd1 Pd 0.5000 0.5000 0.2503 1
Pd2 Pd 0.5000 0.5000 0.7497 1
Pd3 Pd 0.0000 0.5000 0.5000 1
Rh1 Rh 0.0000 0.5000 0.0000 1
Rh2 Rh 0.5000 0.0000 0.5000 1
Rh3 Rh 0.5000 0.0000 0.0000 1
```

The following is a DFT calculation (PBE-GGA) of K3Os after structural relaxation.

formation energy from the elements = 1.3476 eV per atom
space group = No. 139

```
data_K3Os
_symmetry_space_group_name_H-M 'P 1'
_symmetry_Int_Tables_number 1
_symmetry_space_group_name_Hall 'P 1'
_cell_length_a 5.8127
_cell_length_b 5.8127
_cell_length_c 5.8127
_cell_angle_alpha 118.25
_cell_angle_beta 118.25
_cell_angle_gamma 93.06
loop_
_atom_site_label
_atom_site_type_symbol
_atom_site_fract_x
_atom_site_fract_y
_atom_site_fract_z
_atom_site_occupancy
K1 K 0.7500 0.2500 0.5000 1
K2 K 0.2500 0.7500 0.5000 1
K3 K 0.5000 0.5000 0.0000 1
Os1 Os 0.0000 0.0000 0.0000 1
```

The following is a DFT calculation (PBE-GGA) of Zn2MoN3 after structural relaxation.

formation energy from the elements = -0.2742 eV per atom
polymorph energy (0 for the lowest one) = 38 meV per atom
space group = No. 36

```
data_Zn2MoN3
_symmetry_space_group_name_H-M 'P 1'
_symmetry_Int_Tables_number 1
_symmetry_space_group_name_Hall 'P 1'